- Refactoring - Migrate more JS functions to their own files / Implement in Python instead - Don't bake in size properties for components - Bug fixes - dataclass-like `default_factory` for ListItem - Prevent briefly seeing login screen if there are accounts to resumeSession for but they take time to appear - 100% CPU usage when hitting top edge to trigger messages loading - Sending `![A picture](https://picsum.photos/256/256)` → not clickable? - Icons, images and HStyle singleton aren't reloaded - `MessageDelegate.qml:63: TypeError: 'reloadPreviousItem' not a function` - RoomEventsList scrolling when resizing the window - UI - Invite to room - Accounts delegates background - SidePane delegates hover effect - Server selection - Register/Forgot? for SignIn dialog - Scaling - See [Text.fontSizeMode](https://doc.qt.io/qt-5/qml-qtquick-text.html#fontSizeMode-prop) - Add room - Leave room - Forget room warning popup - Prevent using the SendBox if no permission (power levels) - Spinner when loading past room events, images or clicking buttons - Better theming/styling system - See about - Settings page - Multiaccount aliases - Message/text selection - Major features - E2E - Device verification - Edit/delete own devices - Request room keys from own other devices - Auto-trust accounts within the same client - Import/export keys - Uploads - QQuickImageProvider - Read receipts - Status message and presence - Links preview - Client improvements - Filtering rooms: search more than display names? - nio.MatrixRoom has `typing_users`, no need to handle it on our own - Don't send setTypingState False when focus lost if nothing in sendbox - Initial sync filter and lazy load, see weechat-matrix `_handle_login()` - See also `handle_response()`'s `keys_query` request - HTTP/2 - `retry_after_ms` when rate-limited - Direct chats category - On sync, check messages API, if a limited sync timeline was received - Markdown: don't turn #things into title (space), disable __ syntax - Push instead of replacing in stack view (remove getMemberFilter when done) - Make links in room subtitle clickable, formatting? - `
` scrollbar on overflow
  - Handle cases where an avatar char is # or @ (#alias room, @user\_id)
  - When inviting someone to direct chat, room is "Empty room" until accepted,
    it should be the peer's display name instead.
  - Keep an accounts order
  - See `Qt.callLater()` potential usages
  - Banner name color instead of bold

- Missing nio support
  - MatrixRoom invited members list
  - Invite events are missing their timestamps (needed for sorting)
  - Left room events after client reboot
  - `org.matrix.room.preview_urls` event
  - `m.room.aliases` event
********
[1]
The following is a quantum chemistry calculation of a structure of composition C31H17Cl5N6O4Ti, from the OMol25 dataset.

Relative energy (zero: lowest compared OMol25 entry of this formula, charge and spin)   199.3 kJ/mol
Orbital gap   6.29 eV
Total charge   +2
Multiplicity   1

Geometry (Å):
Ti: -0.27 1.28 -0.81
C: -4.15 1.98 1.63
C: -3.33 2.11 0.51
N: -2.51 1.13 0.15
C: -2.51 0.01 0.90
C: -3.30 -0.09 2.03
N: -4.12 0.90 2.39
C: -1.68 -1.07 0.34
C: -1.78 -2.42 0.64
C: -1.11 -3.35 -0.17
C: -0.45 -2.89 -1.31
C: -0.38 -1.53 -1.55
N: -0.89 -0.66 -0.66
C: 0.04 -0.88 -2.81
C: 0.70 -1.53 -3.84
N: 0.93 -0.93 -5.00
C: 0.52 0.32 -5.14
C: -0.10 1.01 -4.10
N: -0.35 0.41 -2.94
C: -1.18 -4.79 0.13
C: -2.32 -5.37 0.68
C: -2.32 -6.73 0.92
N: -1.27 -7.52 0.68
C: -0.19 -6.96 0.16
C: -0.09 -5.61 -0.15
H: -4.83 2.77 1.91
H: -3.34 3.01 -0.10
H: -3.28 -0.97 2.66
H: -2.40 -2.75 1.45
H: -0.07 -3.59 -2.03
H: 1.05 -2.54 -3.73
H: 0.69 0.80 -6.09
H: -0.39 2.04 -4.21
H: -3.21 -4.79 0.88
H: -3.20 -7.21 1.34
H: 0.65 -7.63 -0.03
H: 0.84 -5.22 -0.55
Cl: -0.97 7.99 1.46
C: -0.74 6.32 1.25
C: -0.87 5.76 -0.03
Cl: -1.27 6.70 -1.39
C: -0.67 4.40 -0.15
Cl: -0.84 3.58 -1.70
C: -0.34 3.58 0.92
O: -0.16 2.27 0.68
C: -0.22 4.13 2.18
Cl: 0.17 3.10 3.49
C: -0.42 5.50 2.35
Cl: -0.27 6.19 3.90
O: 1.64 -0.34 0.97
C: 2.95 0.07 1.03
C: 3.87 -0.60 1.83
C: 5.17 -0.15 1.92
C: 5.59 0.98 1.22
C: 4.68 1.64 0.42
C: 3.36 1.19 0.30
C: 2.47 1.96 -0.56
O: 2.48 3.12 -0.82
O: 1.47 1.17 -1.18
H: 1.52 -1.01 1.66
H: 3.55 -1.47 2.40
H: 5.87 -0.68 2.55
H: 6.61 1.33 1.29
H: 4.97 2.53 -0.13


[2]
The following is a quantum chemistry calculation of a cluster of 9 separate species, C27H34Cl12F2O4 in total in a non-equilibrium geometry, from the OMol25 dataset.

Orbital gap (spin up / spin down)   6.82 / 2.77 eV
Total charge   +1
Multiplicity   2

Geometry (Å):
C: 10.70 24.67 7.01
Cl: 12.28 25.43 6.64
Cl: 9.98 25.70 8.27
Cl: 9.55 24.56 5.60
Cl: 11.06 23.09 7.76
C: 10.27 19.54 11.13
Cl: 10.05 21.23 11.36
Cl: 11.75 18.92 11.98
Cl: 8.88 18.63 11.81
Cl: 10.35 19.15 9.41
C: 3.68 21.84 6.53
Cl: 3.54 20.70 5.17
Cl: 5.09 22.81 6.60
Cl: 2.22 22.88 6.48
Cl: 3.56 20.88 8.04
C: 15.11 26.49 11.23
C: 13.74 25.81 11.22
O: 13.55 24.96 12.08
C: 12.70 26.03 10.19
H: 15.85 25.81 10.81
H: 15.34 26.56 12.29
H: 15.13 27.40 10.62
H: 12.83 25.37 9.33
H: 12.64 27.08 9.92
H: 11.71 25.84 10.59
C: 6.05 27.75 5.27
C: 6.70 27.48 6.64
O: 7.93 27.59 6.78
C: 5.69 27.40 7.79
H: 6.57 27.17 4.51
H: 6.09 28.81 5.01
H: 5.00 27.46 5.15
H: 5.14 28.33 7.92
H: 6.06 27.05 8.75
H: 4.88 26.71 7.54
C: 6.17 28.48 11.40
C: 4.98 28.11 12.23
O: 3.79 28.45 12.00
C: 5.29 27.04 13.21
H: 6.48 29.46 11.78
H: 5.86 28.40 10.36
H: 6.94 27.77 11.70
H: 4.48 26.72 13.86
H: 6.08 27.38 13.89
H: 5.48 26.12 12.66
C: 8.15 24.32 11.59
C: 7.16 24.33 10.38
O: 6.09 24.88 10.38
C: 7.53 23.28 9.29
H: 8.29 23.36 12.10
H: 7.87 25.05 12.34
H: 9.21 24.46 11.38
H: 6.97 23.54 8.39
H: 7.38 22.24 9.58
H: 8.57 23.28 8.95
F: 10.52 21.58 14.77
C: 10.29 22.92 14.75
C: 11.05 23.76 13.86
********
## Back to the article
  - Support "Empty room (was ...)" after peer left
{
  "formula": "C5H12N2O",
  "method": "ωB97M-V/def2-TZVPD",
  "lumo_energy_ev": 0.9,
  "de_lowest_ev": 3.848,
  "smiles": "[H]/N=C(/C)ON.C=CC",
  "orbital_gap_ev": 10.37,
  "e_homo_ev": -9.459,
  "total_charge": 0,
  "elements": ["C", "C", "N", "C", "O", "H", "H", "H", "H", "H", "H", "H", "C", "C", "N", "H", "H", "H", "H", "H"],
  "positions_angstrom": [[-2.26817, 0.12615, -1.53021], [-1.33983, 1.09601, -0.87689], [-0.10088, -2.02143, 0.89191], [-1.65374, 1.79478, 0.22093], [0.54908, -0.74835, 1.21150], [0.37462, -2.68342, 1.49989], [0.13263, -2.17154, -0.08930], [-2.88193, 0.63696, -2.27777], [-2.92314, -0.36231, -0.80171], [-1.69394, -0.65648, -2.03626], [-2.62863, 1.70480, 0.69055], [-0.94137, 2.47712, 0.67277], [2.27361, 0.80074, 0.65181], [1.78540, -0.61056, 0.64584], [2.48700, -1.58634, 0.17426], [1.98787, -2.46355, 0.32407], [-0.35469, 1.21172, -1.32125], [3.06918, 0.90753, 1.39329], [2.66255, 1.05465, -0.33844], [1.46435, 1.49354, 0.89501]],
  "forces_ev_per_a": [[0.0, -0.3, -0.1], [-0.2, 0.5, 1.0], [0.2, 1.4, 0.7], [0.4, -0.3, -0.7], [-0.6, -0.6, -0.6], [0.0, -0.3, -0.3], [0.0, -0.3, 0.2], [0.0, -0.2, 0.0], [0.0, 0.2, -0.1], [-0.2, 0.1, 0.0], [0.1, -0.1, 0.0], [-0.1, 0.0, 0.0], [-0.2, 0.3, 0.1], [1.0, -1.7, -0.5], [-0.8, 1.4, 0.5], [0.3, 0.1, -0.1], [0.0, 0.1, 0.0], [0.0, 0.0, -0.2], [0.1, -0.1, 0.2], [0.1, -0.1, 0.0]]
}

~~~~~

Molecular formula: C28H40IInNO8PSb2
Method: DFT, ωB97M-V/def2-TZVPD

Properties
- highest occupied orbital energy (eV) = -3.65
- multiplicity = 1
- energy above the lowest of the compared OMol25 structures with the same formula, charge and spin (kcal per mole) = 0.8
- maximum force (eV/A) = 0.4
- M (g mol⁻¹) = 1034.8
- total energy (a.u.) = -3057.51980
- total charge = -2
- orbital gap (eV) = 7.3

Each line ends with the Löwdin charge.
Geometry (Å):
In 0.411903 1.088101 -0.009932  0.533
C -0.429961 -2.415592 5.378056  -0.369
Sb 0.160832 -1.728717 3.404021  1.369
C 1.774058 -0.530050 4.187816  -0.303
C 1.414654 -3.449116 3.000151  -0.320
C 0.601100 -4.657610 2.685522  -0.289
C 0.145861 -5.468668 3.728360  -0.077
C -0.638881 -6.588612 3.506820  -0.115
C -0.984205 -6.926307 2.204848  -0.112
C -0.537921 -6.132637 1.160562  -0.070
C 0.249061 -4.995908 1.368137  -0.273
C 0.663364 -4.183184 0.185917  -0.318
Sb -0.723582 -2.634837 -0.470692  1.356
C -2.184538 -4.061439 -1.211155  -0.362
C 0.285425 -2.465521 -2.355704  -0.305
H 0.435492 -2.780373 5.934794  -0.008
H -1.172221 -3.211256 5.302927  -0.017
H -0.871724 -1.577097 5.918807  -0.016
H 2.082473 -0.938385 5.150917  -0.004
H 1.452985 0.502741 4.322454  -0.006
H 2.626529 -0.552218 3.510897  0.004
H 2.008501 -3.601326 3.903791  0.066
H 2.080713 -3.126877 2.199392  0.030
H 0.423386 -5.203448 4.744294  0.099
H -0.972959 -7.192623 4.342140  0.088
H -1.595130 -7.798075 2.003368  0.089
H -0.804713 -6.390432 0.141323  0.100
H 0.754385 -4.833564 -0.685712  0.055
H 1.609814 -3.658689 0.331973  0.048
H -1.715786 -4.837418 -1.820236  -0.007

- Waiting for approval/release
  - nio avatars
  - olm/olm-devel 0.3.1 in void repos

- Distribution
  - Review setup.py, add dependencies
  - README.md
  - Use PyInstaller or pyqtdeploy
**Misplaced records of molecules**
/*
[1]
Molecular formula: C5H8O
Method: DFT, the ωB97M-V functional and the def2-TZVPD basis

Computed properties:
Relative energy (zero: lowest compared OMol25 entry of this formula, charge and spin): 92.5 kcal/mol
Charge: 0
Frontier orbital gap: 10.0 eV

CARTESIAN COORDINATES (ANGSTROEM)
C  2.219  0.719  0.113
C  1.162  0.644  -0.872
C  0.159  0.339  -1.482
C  -0.427  -1.024  -1.219
O  -1.693  -1.050  -0.623
C  -2.076  0.091  0.110
H  1.787  0.528  1.106
H  2.988  -0.038  -0.085
H  2.656  1.712  0.092
H  0.326  -1.463  -0.543
H  -0.441  -1.647  -2.114
H  -2.258  0.944  -0.557
H  -3.006  -0.188  0.609
H  -1.349  0.414  0.875

Results of the natural (NBO) charge analysis, in e, for atoms 1 through 2: atom 1 (C): -0.711, atom 2 (C): 0.109

[2]
Molecular formula: CHClN2O2S
Method: DFT, the ωB97M-V functional and the def2-TZVPD basis

Computed properties:
Relative energy (zero: lowest compared OMol25 entry of this formula, charge and spin): 160.3 kcal/mol
Charge: 0
Frontier orbital gap (spin up / spin down): 8.5 / 8.4 eV

CARTESIAN COORDINATES (ANGSTROEM)
C  0.529  1.262  2.499
N  0.099  1.419  3.549
N  -0.263  0.300  0.235
O  2.418  2.451  0.087
O  1.767  -0.685  1.154
S  1.208  0.613  0.926
Cl  -1.149  1.701  -0.276
H  -0.520  -0.576  -0.191

Results of the natural (NBO) charge analysis, in e, for atoms 1 through 2: atom 1 (C): -0.043, atom 2 (N): -0.213

[3]
Molecular formula: C5H12BBrILiNO3S
Method: DFT, the ωB97M-V functional and the def2-TZVPD basis

Computed properties:
Relative energy (zero: lowest compared OMol25 entry of this formula, charge and spin): 70.3 kcal/mol
Charge: +1
Frontier orbital gap: 7.1 eV

CARTESIAN COORDINATES (ANGSTROEM)
C  2.485  -1.052  0.146
C  1.979  -0.891  -1.404
O  1.901  0.491  -1.900
B  1.437  1.439  -0.871
O  2.493  2.272  -0.198
C  -0.102  1.649  -0.338
Br  -0.392  3.640  -0.048
O  -1.154  1.155  -1.238
C  -1.560  -0.232  -0.902
C  -3.041  -0.370  -0.228
N  -3.102  -0.278  1.272
S  -2.100  -1.437  2.095
I  -2.932  1.633  2.003
H  1.613  -0.943  0.955
H  2.849  -2.184  0.259
H  3.437  -0.401  0.422
H  1.000  -1.521  -1.525
H  2.799  -1.437  -2.079
H  2.540  1.940  0.767
H  -0.185  1.119  0.717
H  -1.616  -0.801  -1.951
H  -0.683  -0.736  -0.316
H  -3.501  -1.417  -0.543
H  -3.713  0.505  -0.678
H  -0.740  -0.988  2.123
Li  0.287  -1.155  3.460

Results of the natural (NBO) charge analysis, in e, for atoms 1 through 2: atom 1 (C): -0.681, atom 2 (C): -0.079

[4]
Molecular formula: C4H8O19S4Y
Method: DFT, the ωB97M-V functional and the def2-TZVPD basis

Computed properties:
Relative energy (zero: lowest compared OMol25 entry of this formula, charge and spin): 81.9 kcal/mol
Charge: -5
Frontier orbital gap: 2.1 eV

CARTESIAN COORDINATES (ANGSTROEM)
Y  1.423  -1.243  0.143
S  1.136  -3.064  2.655
O  0.257  -4.198  2.799
O  2.134  -3.196  1.525
O  0.420  -1.958  1.957
O  1.801  -2.512  3.815
S  1.353  0.579  -2.957
O  -0.048  0.401  -3.391
O  1.836  1.940  -3.068
O  1.482  0.073  -1.542
O  1.912  -0.374  -3.893
*/
    - Test command:
    pyinstaller --onefile --windowed --name harmonyqml \
                --add-data 'harmonyqml/components:harmonyqml/components' \
                --additional-hooks-dir . \
                --upx-dir ~/opt/upx-3.95-amd64_linux \